Character-valued built-in functions

Character-valued built-in functions have arithmetic-only operands, character-only operands, or both arithmetic and character operands. Each type is described in a separate section. The maximum string length of any SETC variable is 4064 bytes. If this length is exceeded, the string value is truncated, and message ASMA091E is generated.

The following discussion uses these special notations:

  • n is the EBCDIC character containing all 0 bits.
  • f is the EBCDIC character containing all 1 bits.
Here are the SETC built-in functions:

Format: Function-invocation

Operands: Arithmetic

Output: A2B(aexpr) converts the value of its arithmetic argument to a string of 32 zero ('0') and one ('1') characters. The value of aexpr must be representable as a 32 bit binary integer. If the aexpr argument is negative, the result contains 32 characters, the first of which is '1'.

A2B(0)            has value '00000000000000000000000000000000'
A2B(5)            has value '00000000000000000000000000000101'
A2B(1022)         has value '00000000000000000000001111111110'
A2B(-7)           has value '11111111111111111111111111111001'
A2B(2345678901)   indicates an error (value too large)

Format: Function-invocation

Operands: Arithmetic

Output: A2C(aexpr) converts the value of its arithmetic argument to a string of four characters whose bit pattern is the same as the argument's.

A2C(0)            has value 'nnnn' (4 EBCDIC nulls)
A2C(241)          has value 'nnn1'
A2C(20046)        has value 'nn++'
A2C(-252645136)   has value '0000'

Format: Function-invocation

Operands: Arithmetic

Output: A2D(aexpr) converts the value of its arithmetic argument to a string of decimal digits preceded by a plus or minus sign.

Note: The A2D function is like the SIGNED function, except that A2D always provides an initial sign character.

A2D(0)            has value '+0'
A2D(241)          has value '+241'
A2D(16448)        has value '+16448'
A2D(-3)           has value '-3'

Format: Function-invocation

Operands: Arithmetic

Output: A2X(aexpr) converts the value of its arithmetic argument to a string of eight hexadecimal characters.

A2X(0)            has value '00000000'
A2X(10)           has value '0000000A'
A2X(257)          has value '00000101'
A2X(1022)         has value '000003FE'
A2X(-7)           has value 'FFFFFFF9'

Format: Function-invocation

Operands: Character

Output: B2C('bitstring') converts the bit-string character argument to characters representing the same bit pattern. Null arguments return a null string.

If needed, the argument string is padded internally on the left with zeros so that its length is a multiple of eight.

The operand must contain only ones and zeros. Any other value causes the message ASMA214E to be generated.

B2C('11110011')        has value '3'
B2C('101110011110001') has value '*1'
B2C('0')               has value 'n' (EBCDIC null character)
B2C('00010010001')     has value 'nj'
B2C('000000000')       has value 'nn' (two EBCDIC nulls)
B2C('')                has value ''  (null string)

Format: Function-invocation

Operands: Character

Output: B2D('bitstring') converts a bit-string argument of at most 32 '0' and '1' characters to one to ten decimal characters preceded by a plus or minus sign, representing the value of the argument. Null arguments return '+0'.

B2D('')                has value '+0'
B2D('00010010001')     has value '+145'
B2D('11110001')        has value '+241'
B2D('01111111111111111111111111111111') has value '+2147483647'
B2D('11111111111111111111111111110001') has value '-15'

Format: Function-invocation

Operands: Character

Output: B2X('bitstring') converts the bit-string argument to hexadecimal characters representing the same bit pattern. Null arguments return a null string.

If needed, the argument string is padded internally on the left with zeros so that its length is a multiple of four.

The operand must contain only ones and zeros. Any other value causes the message ASMA214E to be generated.

B2X('')                  has value ''  (null string)
B2X('00000')             has value '00'
B2X('0000010010001')     has value '0091'
B2X('11110001')          has value 'F1'
B2X('1111110001')        has value '3F1'

Format: Logical-expression, function-invocation

Operands: Arithmetic

Output: BYTE(aexpr) or (BYTE aexpr) returns a one-character EBCDIC character expression in which the binary value of the character is specified by the arithmetic argument. The argument must have a value 0 - 255.

This function might be used to introduce characters which are not on the keyboard.

BYTE(0)           has value 'n' (EBCDIC null character)
BYTE(97)          has value '/'
BYTE(129)         has value 'a'

Format: Function-invocation

Operands: Character

Output: C2B('charstring') converts the character argument to a string of '0' and '1' characters representing the same bit pattern. Null arguments return a null string.

If the result is not too long, the length of the result is eight times the length of the 'charstring' argument.

C2B('')           has value ''
C2B('n')          has value '00000000'
C2B(' ')          has value '01000000'
C2B('1')          has value '11110001'
C2B('1234')       has value '11110001111100101111001111110100'

Format: Function-invocation

Operands: Character

Output: C2D('charstring') converts a character-string argument of at most four characters to one to ten decimal characters preceded by a plus or minus sign, representing the numeric value of the argument. Null arguments return '+0'.

C2D('')            has value '+0'
C2D('nj')          has value '+145'
C2D('1')           has value '+241'
C2D('0000')        has value '-252645136

Format: Function-invocation

Operands: Character

Output: C2X('charstring') converts the character-string argument to hexadecimal characters representing the same bit pattern. Null arguments return a null string.

If the result is not too long, the length of the result is two times the length of the 'charstring' argument.

C2X('')           has value ''
C2X('n')          has value '00'
C2X('1')          has value 'F1'
C2X('a')          has value '81'
C2X('1234567R')   has value 'F1F2F3F4F5F6F7D9'

Format: Function-invocation

Operands: Character

Output: D2B('decstring') converts an argument string of optionally signed decimal characters to a string of 32 '0' and '1' characters representing a bit string with the same binary value. The value of decstring must be representable as a 32 bit binary integer. A null argument string returns a null string.

D2B('')           has value ''
D2B('0')          has value '00000000000000000000000000000000'
D2B('+5')         has value '00000000000000000000000000000101'
D2B('1022')       has value '00000000000000000000001111111110'
D2B('-7')         has value '11111111111111111111111111111001'

Format: Function-invocation

Operands: Character

Output: D2C('decstring') converts an argument string of optionally signed decimal characters to a string of four characters whose byte values represent the same binary value. The value of decstring must be representable as a 32 bit binary integer. A null argument string returns a null string.

D2C('')           has value ''
D2C('0')          has value 'nnnn' (4 EBCDIC null bytes)
D2C('126')        has value 'nnn='
D2C('247')        has value 'nnn7'
D2C('23793')      has value 'nn*1'
D2C('-7')         has value 'fff9' (f=byte of all 1 bits)

Format: Function-invocation

Operands: Character

Output: D2X('decstring') converts an argument string of optionally signed decimal characters to a string of eight hexadecimal characters whose digits represent the same hexadecimal value. The value of decstring must be representable as a 32 bit binary integer. A null argument string returns a null string.

D2X('')           has value ''
D2X('0')          has value '00000000'
D2X('+5')         has value '00000005'
D2X('255')        has value '000000FF'
D2X('01022')      has value '000003FE'
D2X('-7')         has value 'FFFFFFF9'
DSX('2345678901') causes an error condition (value too large)

Format: Function-invocation

• Molecular data from another source follow:
No. 1
# C4H11N3O

C4H11N3O in the gas phase in a non-equilibrium geometry (ωB97M-V/def2-TZVPD, OMol25).

```
19
Properties=species:S:1:pos:R:3:forces:R:3
C -1.601 -1.191 1.790 2.4 -2.5 -1.8
N -0.796 -1.381 0.533 0.8 -0.8 0.8
C 0.678 -1.160 0.666 -1.5 -3.5 -0.3
C 1.238 -0.232 -0.389 1.2 -0.3 -1.2
N 1.079 1.204 -0.248 -0.6 -0.3 0.8
C 0.469 2.083 -1.121 0.1 -0.9 -0.6
N -0.359 1.544 -2.134 -0.2 1.8 -0.1
O 0.707 3.268 -1.104 -0.4 0.3 0.3
H -1.248 -1.945 2.547 0.3 1.4 -0.4
H -1.404 -0.172 1.881 -0.9 1.8 2.0
H -2.548 -1.605 1.583 -1.6 0.6 -0.3
H -1.060 -0.800 -0.225 -1.1 0.7 -0.3
H 0.949 -2.300 0.475 0.9 2.5 0.3
H 0.989 -0.939 1.696 -0.1 0.3 -0.2
H 2.358 -0.433 -0.351 -1.2 0.1 -0.7
H 0.794 -0.436 -1.414 0.9 -0.4 1.2
H 1.533 1.600 0.567 -0.1 0.4 -0.6
H -0.995 2.240 -2.542 0.9 -0.2 0.3
H -0.782 0.655 -2.210 0.1 -1.0 0.6
```
Forces are in eV/Å.

## Properties
Calculated total energy (eV): -10843.1860
ΔE to the lowest compared entry with this formula, charge and spin (kJ/mol): 195.4
2S+1: 1
Molar mass (g mol⁻¹): 117.15
SMILES string: CNCCNC(N)=O
HOMO-LUMO gap (eV): 9.5
Max |F| (Eh/bohr): 0.07556
Charge: 0

Charges per atom according to Mulliken partitioning, unit e:
1. C -0.953
2. N -0.394
3. C -0.431
4. C -0.731
5. N -0.040
6. C 0.477
7. N -0.401
8. O -0.622
9. H 0.238
10. H 0.474
11. H 0.312
12. H 0.232
13. H 0.245
14. H 0.349
15. H 0.260
16. H 0.355
17. H 0.212
18. H 0.238
19. H 0.181



No. 2
# C32H39BKN9O5

A molecular structure, C32H39BKN9O5 in a non-equilibrium geometry (ωB97M-V/def2-TZVPD, OMol25).

```
87
Properties=species:S:1:pos:R:3:forces:R:3
K 0.205 -0.421 -0.630 -0.2 0.1 -0.2
O 3.386 -4.538 -4.197 0.0 0.0 0.0
C 3.968 -4.585 -2.965 0.0 0.0 0.0
C 4.956 -5.540 -2.720 0.0 0.0 0.0
C 5.560 -5.646 -1.478 0.0 0.0 0.0
C 5.169 -4.796 -0.456 0.0 0.0 0.0
C 4.182 -3.854 -0.704 0.0 0.0 0.0
C 3.570 -3.708 -1.947 0.0 0.0 0.0
C 2.538 -2.599 -2.044 -0.1 0.1 0.1
O 2.086 -2.148 -0.972 0.3 -0.3 0.0
N 2.223 -2.207 -3.282 0.0 0.1 0.0
N 1.452 -1.089 -3.221 -0.1 -0.1 0.0
C 0.778 -0.789 -4.262 0.1 0.1 -0.1
C -0.004 0.455 -4.278 0.0 0.0 0.0
C -0.473 0.991 -5.479 0.0 0.0 0.0
C -1.163 2.190 -5.458 0.0 0.0 0.0
C -1.372 2.827 -4.245 0.0 0.0 0.0
C -0.890 2.214 -3.094 0.0 0.0 0.0
N -0.235 1.063 -3.107 0.0 0.0 0.0
H 3.754 -5.259 -4.719 0.0 0.0 0.0
H 5.246 -6.210 -3.525 0.0 0.0 0.0
H 6.326 -6.396 -1.315 0.0 0.0 0.0
H 5.620 -4.867 0.525 0.0 0.0 0.0
H 3.838 -3.183 0.072 0.0 0.0 0.0
H 0.794 -1.416 -5.157 0.0 0.0 0.0
H -0.285 0.466 -6.409 0.0 0.0 0.0
H -1.533 2.623 -6.380 0.0 0.0 0.0
H -1.909 3.765 -4.180 0.0 0.0 0.0
H -1.046 2.647 -2.110 0.0 0.0 0.0
C 0.827 -2.427 2.500 0.0 0.0 0.0
C 0.644 -1.008 2.932 0.0 0.0 0.0
C 0.530 -0.478 4.233 0.0 0.0 0.0
C 0.303 0.871 4.045 0.0 0.0 0.0
C 0.093 1.930 5.079 0.0 0.0 0.0
N 0.294 1.103 2.714 0.0 0.0 0.0
N 0.506 -0.048 2.036 0.0 0.1 0.1
B 0.017 2.440 1.986 0.0 0.0 0.0
N 1.145 2.788 0.987 0.0 0.0 0.0
N 1.375 2.061 -0.132 0.0 0.1 0.0
C 2.407 2.613 -0.746 0.0 0.0 0.0
C 2.933 2.041 -2.023 0.0 0.0 0.0
C 2.868 3.729 -0.017 0.0 0.0 0.0
• The text goes on:

Operands: Character

Output: DCVAL('cexpr') performs a single scan of the argument string to find successive pairs of apostrophes and ampersands, and returns a string value in which each such pair has been replaced by a single occurrence. This pairing action occurs only once; that is, three successive occurrences of an apostrophe or ampersand result in two occurrences, not one. A null argument is returned unchanged.

DCVAL is like DCLEN, except that DCLEN returns only the length of the result, not the paired string.

DCVAL('')         has value "" (null string)
DCVAL('''')       has value "'" (single apostrophe)
DCVAL('&&')       has value "&" (single ampersand)
DCVAL('a''''b')   has value "a'b"
DCVAL('a''''b&&c')   has value "a'b&c"
.* Suppose &C has value "&&&&’'’’" (4 ampersands, 4 apostrophes)
&X SETC DCVAL(’&C’) &X has value "&&’’" (2 of each)

Format: Function-invocation

Operands: Character

Output: DEQUOTE('cexpr') removes a single occurrence of an apostrophe from each end of the argument string, if any are present. A null argument is returned unchanged.

&C   SETC  DEQUOTE('charstring')    &C has value "charstring"
&C   SETC  DEQUOTE('')              &C is a null string
&C   SETC  DEQUOTE('a')             &C has value "a"
&ARG SETC  '''a'''                  &ARG has value "'a'"
&C   SETC  DEQUOTE('&ARG')          &C has value "a"
&C   SETC  DEQUOTE('a''b')          &C has value "a'b"
&ARG SETC  ''''''                   &ARG has value "''"
&C   SETC  DEQUOTE('&ARG')          &C has value "" (null string)

Format: Logical-expression, function-invocation

Operands: Character

Output: DOUBLE('cexpr') or (DOUBLE 'cexpr') converts each occurrence of an apostrophe or ampersand character in the argument string to a pair of apostrophes and ampersands. In this form, the string is suitable for substitution into statements such as DC and MNOTE. Null arguments return a null string. An error condition is detected if the resulting string is too long.


Suppose the SETC variable &C contains the characters "&&''&" (two apostrophes, three ampersands):
DOUBLE('&C')           has value "&&&&''''&&"

Format: Function-invocation

Operands: Character

Output: ESYM('cexpr') returns the external symbol. This built-in function is valid on z/OS® 2.1 and higher systems. You can define a JCL symbol name the same as a system symbol name. When a JCL symbol has the same name as a system symbol, the substitution text for the JCL symbol overrides the substitution text for the system symbol.

&C   SETC   ESYM('SYSNAME')   &C has value for the external symbol &SYSNAME

Format: Logical-expression, function-invocation

Operands: Character

Output: LOWER('cexpr') or (LOWER 'cexpr') converts the alphabetic characters A-Z in the argument to lowercase, a-z. Null arguments return a null string.

LOWER('aBcDefG')       has value 'abcdefg'

Format: Logical-expression, function-invocation

Operands: Arithmetic

Output: SIGNED(aexpr) or (SIGNED aexpr) converts its arithmetic argument to a decimal character string representation of its value, with a leading minus sign if the argument is negative.

SIGNED(10)        has value '10'
SIGNED(-10)       has value '-10'
Note: The SIGNED function creates properly signed values for display, whereas assigning a SETA value to a SETC variable produces only the magnitude of the SETA value. For example:
&A   SETA  10     &A has value 10
&C   SETC  '&A'   &C has value '10'
&A   SETA  -10    &A has value -10
&C   SETC  '&A'   &C has value '10' (unsigned)

Format: Function-invocation

Operands: Character

Output: SYSATTRA('symbol') returns the assembler-type value for the specified symbol.
  • The 1 to 4 character assembler type is returned, with trailing spaces removed. For symbols defined in DC and DS statements, the assembler type includes the type extensions, if any.
  • Symbols without an assigned assembler type, undefined symbols, and null arguments return null.


Given that symbol Sym1 has previously been assigned an assembler type of GR, and variable symbol &SName has a value of SYM1, then:
SYSATTRA('Sym1')       has value 'GR'
SYSATTRA('&SName')     has value 'GR'

Format: Function-invocation

Operands: Character

Output: SYSATTRP('symbol') returns the program-type value for the specified symbol.
  • The 4 byte program type is returned.
  • Symbols without an assigned program type, undefined symbols, and null arguments return null.


Given that symbol Sym1 has previously been assigned a program type of Box7, and variable symbol &SName has a value of SYM1, then:
SYSATTRP('Sym1')       has value 'Box7'
SYSATTRP('&SName')     has value 'Box7'

Format: Logical-expression, function-invocation

Operands: Character

Output: UPPER('cexpr') or (UPPER 'cexpr') converts the alphabetic characters a-z in the argument to uppercase, A-Z. Null arguments return a null string.

UPPER('aBcDefG')       has value 'ABCDEFG'

Format: Function-invocation

Operands: Character

Output: X2B('hexstring') converts the value of its argument string of hexadecimal characters to a character string containing only zero ('0') and one ('1') characters representing the same bit pattern. Null arguments return a null string.

If the result is not too long, the length of the result is four times the length of the 'hexstring' argument.

The operand must contain only hexadecimal digits. Any other value causes the message ASMA214E to be generated.

X2B('')           has value '' (null string)
X2B('00')         has value '00000000'
X2B('1')          has value '0001'
X2B('F3')         has value '11110011'
X2B('00F3')       has value '0000000011110011'

Format: Function-invocation

Operands: Character

Output: X2C('hexstring') converts the hexstring argument to characters representing the same bit pattern. Null arguments return a null string.

If needed, the argument string is padded internally on the left with a zero character so that its length is a multiple of two.

The operand must contain only hexadecimal digits. Any other value causes the message ASMA214E to be generated.

X2C('')           has value '' (null string)
X2C('F3')         has value '3'
X2C('0')          has value 'n' (EBCDIC null character)
X2C('F1F2F3F4F5') has value '12345'
X2C('000F1')      has value 'nn1'

Format: Function-invocation

Operands: Character

Output: X2D('hexstring') converts its argument string of at most eight hexadecimal characters to one to ten decimal characters preceded by a plus or minus sign, representing the value of the argument. Null arguments return '+0'. For example:

X2D('')            has value '+0'
X2D('91')          has value '+145'
X2D('000F1')       has value '+241'
X2D('7FFFFFFF')    has value '+2147483647'
X2D('FFFFFFF1')    has value '-15'